File:
=====
Entry 1:
The following is a quantum chemistry calculation of C63H80CsNO4P2SbSi4 as an isolated structure at a distorted geometry, from the Open Molecules 2025 dataset.

Last column: Löwdin charge in e.
Positions of all 156 atoms, in Å:
Cs: 1.166 0.414 1.338  1.335
C: -1.309 1.014 5.420  -0.010
C: -0.083 0.569 4.629  -0.537
C: 1.062 0.184 5.551  -0.021
O: -0.407 -0.554 3.782  -0.115
C: 0.305 1.772 3.719  -0.792
O: 1.166 2.550 4.156  -0.007
O: -0.288 1.837 2.615  -0.502
H: -1.615 0.243 6.136  0.077
H: -2.136 1.215 4.738  0.081
H: -1.080 1.926 5.972  0.097
H: 0.751 -0.620 6.227  0.085
H: 1.376 1.043 6.138  0.088
H: 1.919 -0.159 4.971  0.078
H: -0.555 -1.309 4.363  0.095
C: -2.433 -3.078 0.783  -0.418
C: -2.430 -1.616 0.370  -0.403
P: -4.033 -0.701 0.417  1.093
C: -5.085 -1.851 -0.555  -0.377
C: -5.328 -1.488 -1.878  -0.108
C: -6.052 -2.313 -2.727  -0.092
C: -6.560 -3.514 -2.256  -0.098
C: -6.339 -3.883 -0.935  -0.086
C: -5.608 -3.059 -0.094  -0.107
C: -4.600 -0.987 2.134  -0.381
C: -5.966 -1.013 2.421  -0.113
C: -6.416 -1.117 3.727  -0.094
C: -5.507 -1.180 4.776  -0.096
C: -4.149 -1.125 4.505  -0.082
C: -3.697 -1.023 3.196  -0.096
P: -0.695 -3.699 0.788  1.088
C: -0.367 -3.655 -1.017  -0.387
C: 0.762 -2.987 -1.478  -0.089
C: 1.051 -2.958 -2.839  -0.081
C: 0.212 -3.586 -3.742  -0.088
C: -0.928 -4.245 -3.290  -0.088
C: -1.212 -4.279 -1.938  -0.095
C: -0.968 -5.503 1.031  -0.378
C: -2.016 -6.001 1.803  -0.100
C: -2.155 -7.367 2.020  -0.098
C: -1.245 -8.257 1.473  -0.107
C: -0.191 -7.771 0.710  -0.093
C: -0.054 -6.410 0.495  -0.100
H: -3.048 -3.684 0.115  0.066
H: -2.835 -3.185 1.793  0.061
H: -2.060 -1.493 -0.655  0.058
H: -1.729 -1.076 0.998  0.041
H: -4.946 -0.540 -2.238  0.090
H: -6.228 -2.013 -3.752  0.098
H: -7.128 -4.160 -2.912  0.097
H: -6.733 -4.819 -0.561  0.100
H: -5.442 -3.358 0.934  0.105
H: -6.685 -0.955 1.612  0.103
H: -7.480 -1.140 3.928  0.097
H: -5.857 -1.263 5.797  0.096
H: -3.432 -1.149 5.317  0.091
H: -2.630 -0.941 3.011  0.085
H: 1.399 -2.446 -0.788  0.067
H: 1.927 -2.425 -3.184  0.104
H: 0.437 -3.557 -4.801  0.099
H: -1.594 -4.727 -3.995  0.097
H: -2.093 -4.810 -1.593  0.105
H: -2.737 -5.327 2.244  0.091
H: -2.980 -7.731 2.618  0.097
H: -1.355 -9.321 1.638  0.094
H: 0.528 -8.457 0.279  0.099
H: 0.769 -6.045 -0.109  0.106
O: 2.492 -0.606 -0.312  -0.790
Si: 4.068 -0.690 -0.324  0.368
C: 4.909 1.014 -0.259  -0.216
C: 6.285 1.132 -0.034  -0.092
C: 6.903 2.369 0.061  -0.095
C: 6.151 3.531 -0.059  -0.098
C: 4.787 3.443 -0.280  -0.088
C: 4.178 2.197 -0.382  -0.091
C: 4.836 -1.558 -1.830  -0.213
C: 4.868 -2.952 -1.935  -0.111
C: 5.351 -3.588 -3.070  -0.099
C: 5.817 -2.836 -4.140  -0.111
C: 5.796 -1.451 -4.062  -0.101
C: 5.315 -0.826 -2.918  -0.094
C: 4.791 -1.551 1.218  -0.201
C: 4.189 -1.328 2.464  -0.095
C: 4.726 -1.831 3.638  -0.088
C: 5.893 -2.583 3.599  -0.105
C: 6.511 -2.819 2.381  -0.098
C: 5.965 -2.306 1.211  -0.106
H: 6.885 0.235 0.078  0.100
H: 7.971 2.430 0.238  0.095
H: 6.627 4.501 0.027  0.095
H: 4.193 4.343 -0.373  0.075
H: 3.110 2.143 -0.572  0.067
H: 4.502 -3.555 -1.111  0.105
H: 5.362 -4.670 -3.122  0.096
H: 6.194 -3.327 -5.028  0.092
H: 6.160 -0.857 -4.892  0.094
H: 5.314 0.258 -2.870  0.098
H: 3.280 -0.739 2.518  0.017
H: 4.237 -1.636 4.585  0.096
H: 6.317 -2.980 4.513  0.094
H: 7.424 -3.402 2.342  0.095
H: 6.469 -2.500 0.270  0.093
C: 1.036 0.347 -6.556  -0.045
C: 0.351 0.148 -5.234  -0.276
C: -0.990 -0.214 -5.162  -0.039
C: -1.573 -0.409 -3.923  -0.149
N: -0.930 -0.263 -2.764  0.086
C: 0.355 0.079 -2.837  -0.152
C: 1.026 0.293 -4.033  -0.027
H: 0.456 1.004 -7.204  0.078
H: 1.151 -0.608 -7.073  0.081
H: 2.027 0.778 -6.424  0.075
H: -1.578 -0.341 -6.063  0.108
H: -2.614 -0.702 -3.855  0.097
H: 0.898 0.205 -1.912  0.078
H: 2.073 0.570 -4.013  0.116
C: -0.300 7.164 0.911  -0.213
Si: 0.369 5.524 1.549  0.298
C: -0.268 5.335 3.293  -0.205
C: 2.240 5.672 1.566  -0.230
Sb: -0.177 3.443 0.158  0.892
Si: -2.718 3.650 0.353  0.294
C: -3.256 2.856 1.962  -0.227
C: -3.515 2.750 -1.095  -0.247
=====

Wanted:
Now reproduce only the lines above with the word "the" in them.

Written answer:
The following is a quantum chemistry calculation of C63H80CsNO4P2SbSi4 as an isolated structure at a distorted geometry, from the Open Molecules 2025 dataset.